-- Entries --
+++
Entry 1:
Molecular formula: C3H8S2
Method: DFT, ωB97M-V/def2-TZVPD

**E_HOMO**: -8.9 eV
**SMILES**: SCCCS
**Multiplicity**: 1
**HOMO-LUMO gap**: 9.70 eV
**Max |F|**: 4.09 eV/A
**Energy above the lowest of the compared OMol25 structures with the same formula, charge and spin**: 32.0 kcal per mole
**E_tot**: -24910.011 eV

```
13
Properties=species:S:1:pos:R:3:forces:R:3
S -1.8652 -1.4580 -0.4731 0.014 -0.185 0.692
C -0.0841 -1.6461 -0.4125 2.523 -2.041 -2.486
C 0.7894 -0.4165 -0.5658 0.080 2.229 -1.610
C 0.3438 0.6074 0.5023 0.341 0.971 1.099
S 1.3693 2.1761 0.5830 0.357 -0.384 -0.827
H -1.7036 -1.8894 0.7871 -1.549 0.179 0.026
H 0.2713 -2.4328 -1.2273 -0.801 1.498 1.640
H 0.1218 -2.1001 0.5553 0.297 -0.063 -0.179
H 1.9007 -0.6470 -0.6992 -1.367 0.130 1.182
H 0.6470 0.1330 -1.5481 -0.403 -0.868 0.715
H 0.5196 0.2291 1.4837 0.235 -0.824 0.730
H -0.7418 0.8307 0.5558 0.717 -0.064 -0.927
H 0.6256 3.1191 1.1904 -0.445 -0.577 -0.057
```
Positions in Å, forces in eV/Å.



Entry 2:
Molecular formula: C3H8S2
Method: DFT, ωB97M-V/def2-TZVPD

**E_HOMO**: -8.2 eV
**SMILES**: C=C.CSS
**Multiplicity**: 1
**HOMO-LUMO gap**: 8.71 eV
**Max |F|**: 0.80 eV/A
**Energy above the lowest of the compared OMol25 structures with the same formula, charge and spin**: 33.3 kcal per mole
**E_tot**: -24909.953 eV

```
13
Properties=species:S:1:pos:R:3:forces:R:3
C -1.7156 -0.5777 0.8385 0.198 0.203 -0.167
C -2.3416 0.4514 0.2814 -0.171 -0.398 0.436
H -1.2301 -1.3583 0.2763 -0.221 -0.233 -0.269
H -1.5873 -0.6548 1.9087 0.068 0.189 0.104
H -2.5821 0.4960 -0.7777 0.295 0.167 0.143
H -2.6994 1.2307 0.9450 -0.230 0.098 -0.282
C 1.5707 1.0473 -0.7148 -0.166 0.534 -0.568
S 1.7097 -0.1590 0.5895 0.159 -0.208 0.213
S 2.3585 -1.7426 -0.6014 0.233 -0.094 -0.095
H 0.8773 1.8124 -0.3783 -0.093 0.071 0.194
H 1.1514 0.6359 -1.6327 -0.055 -0.233 0.115
H 2.5094 1.5406 -0.9643 0.115 -0.167 0.141
H 1.9791 -2.7221 0.2301 -0.132 0.071 0.034
```
Positions in Å, forces in eV/Å.



Entry 3:
Molecular formula: C3H8S2
Method: DFT, ωB97M-V/def2-TZVPD

**E_HOMO**: -8.9 eV
**SMILES**: C=CC.SS
**Multiplicity**: 1
**HOMO-LUMO gap**: 8.97 eV
**Max |F|**: 1.61 eV/A
**Energy above the lowest of the compared OMol25 structures with the same formula, charge and spin**: 32.9 kcal per mole
**E_tot**: -24909.972 eV

```
13
Properties=species:S:1:pos:R:3:forces:R:3
C 1.8783 -1.9446 -1.3066 -0.377 -0.954 -0.036
C 1.4356 -2.4194 -2.4734 -0.129 0.386 0.759
C -0.0566 -2.4202 -2.7800 1.577 0.320 0.137
H 2.9036 -1.9654 -0.9614 0.091 0.061 -0.299
H 1.1293 -1.7548 -0.5456 0.084 0.558 0.036
H 2.1356 -2.8490 -3.1807 -0.052 0.205 -0.256
H -0.2457 -1.7149 -3.5886 -0.202 -0.283 -0.266
H -0.5431 -2.0203 -1.8963 -0.424 -0.310 0.040
H -0.3317 -3.4383 -3.0316 -0.569 0.035 -0.105
S -1.6018 1.7386 2.1302 0.755 -0.483 -0.354
S 0.1459 1.3692 0.9272 -0.938 0.110 0.491
H -1.1813 0.9864 3.1691 0.006 0.261 -0.161
H 0.1368 2.6181 0.4525 0.177 0.094 0.015
```
Positions in Å, forces in eV/Å.



Entry 4:
Molecular formula: C3H8S2
Method: DFT, ωB97M-V/def2-TZVPD

**E_HOMO**: -8.7 eV
**SMILES**: C=CC.SS
**Multiplicity**: 1
**HOMO-LUMO gap**: 8.78 eV
**Max |F|**: 2.61 eV/A
**Energy above the lowest of the compared OMol25 structures with the same formula, charge and spin**: 46.6 kcal per mole
**E_tot**: -24909.376 eV

```
13
Properties=species:S:1:pos:R:3:forces:R:3
C 4.2018 -0.9656 -3.3741 1.870 -0.004 0.733
C 4.0391 -2.2445 -3.6430 -2.002 -1.284 -1.073
C 2.8744 -3.1252 -3.2116 -0.177 0.981 -0.727
H 5.1565 -0.5767 -3.7245 -0.436 0.585 -0.326
H 3.7282 -0.3990 -2.5821 -0.347 -0.180 -0.078
H 4.5264 -2.7082 -4.4960 0.828 0.277 0.257
H 2.0176 -2.8716 -3.8508 0.015 0.228 0.111
H 3.0066 -4.1814 -3.4723 0.351 0.135 0.884
H 2.5917 -2.8451 -2.2002 -0.102 -0.737 0.219
S -1.8189 1.0241 1.8222 0.059 0.290 -0.198
S -3.2638 2.1431 2.8971 0.882 1.188 -0.747
H -1.9604 -0.0099 2.6515 0.330 -0.168 -0.032
H -3.6287 0.9970 3.3227 -1.270 -1.311 0.977
```
Positions in Å, forces in eV/Å.



Entry 5:
Molecular formula: C3H8S3
+++
-- What to do --
Next, filter the lines above: keep the lines with the word "HOMO-LUMO".
-- Outcome --
**HOMO-LUMO gap**: 9.70 eV
**HOMO-LUMO gap**: 8.71 eV
**HOMO-LUMO gap**: 8.97 eV
**HOMO-LUMO gap**: 8.78 eV